Basic Math & Pre-Algebra All-in-One For Dummies (+ Chapter Quizzes Online). Mark Zegarelli
any pattern. (For more on repeating decimals, see Chapter 13.)
The most famous irrational number is π (you find out more about π when I discuss the geometry of circles in Chapter 19):
Together, the rational and irrational numbers make up the real numbers, which comprise every point on the number line. In this book, I don’t spend too much time on irrational numbers, but just remember that they’re there for future reference.
Chapter 2
The Big Four Operations
The operations of addition, subtraction, multiplication, and division are at the heart of arithmetic. I call them the Big Four operations.
+++
Crystalline Al7Cu2Ru at its relaxed geometry. Source: the Materials Project database, functional PBE.

Geometry as CIF:
```
data_Al7Cu2Ru
_chemical_formula_sum 'Al28 Cu8 Ru4'
_cell_length_a 6.447
_cell_length_b 6.447
_cell_length_c 14.831
_cell_angle_alpha 90.00
_cell_angle_beta 90.00
_cell_angle_gamma 90.00
_space_group_name_H-M_alt 'P 4/m n c'
_space_group_IT_number 128
_space_group_name_Hall '-P 4 2n'
loop_
_atom_site_label
_atom_site_type_symbol
_atom_site_fract_x
_atom_site_fract_y
_atom_site_fract_z
Al1 Al 0.000 0.000 0.129
Al2 Al 0.085 0.300 0.402
Al3 Al 0.160 0.660 0.250
Cu1 Cu 0.086 0.732 0.000
Ru1 Ru 0.000 0.000 0.300
```

Formation enthalpy at 0 K ... -0.3432 eV/atom
+++
• Back to the entry:
In this chapter, the focus is exclusively on these four operations. To begin, I discuss each of the Big Four operations in turn. Then, I show you how to add, subtract, multiply, and divide larger numbers.
Even if this information isn’t new to you, make sure that you know it before moving on to the chapters that follow. In Chapter 4, I discuss negative numbers, which depend heavily on the operation of subtraction. And then in Chapter 5, you discover a variety of more advanced Big Four topics that I expand upon in later chapters of the book.
The Big Four Operations
When most folks think of math, the first thing that comes to mind is four little (or not-so-little) words: addition, subtraction, multiplication, and division. I call these operations the Big Four all through the book.
In this chapter, I introduce you (or reintroduce you) to these little gems. Although I assume you’re already familiar with the Big Four, this chapter reviews these operations, taking you from what you may have missed to what you need to succeed as you move onward and upward in math.
Adding things up: Addition
Addition is the first operation you find out about, and it’s almost everybody’s favorite. It’s simple, friendly, and straightforward. No matter how much you worry about math, you’ve probably never lost a minute of sleep over addition. Addition is all about bringing things together, which is a positive goal. For example, suppose you and I are standing in line to buy tickets for a movie. I have $25 and you have only $5. I could lord it over you and make you feel crummy that I can go to the movies and you can’t. Or instead, you and I can join forces, adding together my $25 and your $5 to make $30. Now, not only can we both see the movie, but we may even be able to buy some popcorn, too.
Addition uses only one sign — the plus sign (+): Your equation may read or
Here the entry breaks off for crystal structures
~~~
A relaxed structure of Li8Fe2O7. Source: the Materials Project, functional PBE with a Hubbard U. Values from VASP.

Results
As for the calculated formation energy: -33.33 eV per formula unit. The value obtained for the mass density is 2.66 Mg/m³. The calculated total energy is -90.853 eV/f.u.

The structure in Quantum ESPRESSO input format:
```
&SYSTEM
  ibrav = 0, nat = 68, ntyp = 3
/
ATOMIC_SPECIES
Li 6.94 Li.upf
Fe 55.84 Fe.upf
O 16.00 O.upf
CELL_PARAMETERS angstrom
7.8451 0.0000 0.0000
0.0000 10.0193 0.0000
-2.8822 0.0000 8.8697
ATOMIC_POSITIONS crystal
Li 0.0041 0.2322 0.3793
Li 0.0041 0.2678 0.8793
Li 0.0610 0.5285 0.6524
Li 0.0610 0.9715 0.1524
Li 0.1562 0.0050 0.4786
Li 0.1562 0.4950 0.9786
Li 0.2190 0.7408 0.9326
Li 0.2190 0.7592 0.4326
Li 0.2497 0.0500 0.7979
Li 0.2497 0.4500 0.2979
Li 0.3695 0.5220 0.5651
Li 0.3695 0.9780 0.0651
Li 0.3950 0.2370 0.4659
Li 0.3950 0.2630 0.9659
Li 0.4174 0.5336 0.8615
Li 0.4174 0.9664 0.3615
Li 0.5826 0.0336 0.6385
Li 0.5826 0.4664 0.1385
Li 0.6050 0.7370 0.0341
Li 0.6050 0.7630 0.5341
Li 0.6305 0.0220 0.9349
Li 0.6305 0.4780 0.4349
Li 0.7503 0.5500 0.7021
Li 0.7503 0.9500 0.2021
Li 0.7810 0.2408 0.5674
Li 0.7810 0.2592 0.0674
Li 0.8438 0.5050 0.0214
Li 0.8438 0.9950 0.5214
Li 0.9390 0.0285 0.8476
Li 0.9390 0.4715 0.3476
Li 0.9959 0.7322 0.1207
Li 0.9959 0.7678 0.6207
Fe 0.1817 0.2193 0.1482
Fe 0.1817 0.2807 0.6482
Fe 0.3998 0.7051 0.2222
Fe 0.3998 0.7949 0.7222
Fe 0.6002 0.2051 0.2778
Fe 0.6002 0.2949 0.7778
Fe 0.8183 0.7193 0.3518
Fe 0.8183 0.7807 0.8518
O 0.0171 0.1397 0.5857
O 0.0171 0.3603 0.0857
O 0.1645 0.1119 0.3074
O 0.1645 0.3881 0.8074
O 0.1744 0.1131 0.9760
O 0.1744 0.3869 0.4760
O 0.2233 0.6644 0.6701
O 0.2233 0.8356 0.1701
O 0.3917 0.6078 0.3905
O 0.3917 0.8922 0.8905
O 0.3971 0.1729 0.7186
~~~
Take it away: Subtraction
Subtraction is usually the second operation you discover, and it’s not much harder than addition. Still, there’s something negative about subtraction — it’s all about who has more and who has less. Suppose you and I have been running on treadmills at the gym. I’m happy because I ran 3 miles, but then you start bragging that you ran 10 miles. You subtract and tell me that I should be very impressed that you ran 7 miles farther than I did. (But with an attitude like that, don’t be surprised if you come back from the showers to find your running shoes filled with liquid soap!)
As with addition, subtraction has only one sign: the minus sign (−). You end up with equations such as
One of the first facts you probably heard about subtraction is that you can’t take away more than you start with. In that case, the second number can’t be larger than the first. And if the two numbers are the same, the result is always 0. For example,
A sign of the times: Multiplication
Between two parts of the article: data records:
+++
Record 1
Below is an optimized crystal structure of Li2VC2O6, with properties calculated at the PBE+U level.

a = 6.496 Å, b = 8.718 Å, c = 9.935 Å
α = 75.99°, β = 77.65°, γ = 97.16°
Sites, in units of the cell vectors:
O1 0.676 0.300 0.867
O2 0.899 0.198 0.144
O3 0.908 0.254 0.689
O4 0.727 0.803 0.219
O5 0.408 0.253 0.189
O6 0.176 0.300 0.367
O7 0.747 0.949 0.591
O8 0.096 0.448 0.050
O9 0.155 0.248 0.943
O10 0.643 0.552 0.200
O11 0.655 0.248 0.443
O12 0.253 0.051 0.395
O13 0.374 0.751 0.516
O14 0.878 0.745 0.514
O15 0.378 0.745 0.014
O16 0.874 0.750 0.016
O17 0.399 0.198 0.643
O18 0.703 0.701 0.742
O19 0.227 0.803 0.718
O20 0.143 0.552 0.700
O21 0.595 0.448 0.551
O22 0.204 0.701 0.242
O23 0.754 0.051 0.895
O24 0.247 0.949 0.091
C1 0.777 0.802 0.615
C2 0.778 0.198 0.818
C3 0.747 0.698 0.145
C4 0.051 0.302 0.045
C5 0.247 0.698 0.645
C6 0.551 0.301 0.545
C7 0.278 0.198 0.318
C8 0.277 0.802 0.115
Li1 0.167 0.830 0.381
Li2 0.923 0.169 0.519
Li3 0.423 0.169 0.019
Li4 0.120 0.666 0.920
Li5 0.667 0.829 0.881
Li6 0.214 0.332 0.731
Li7 0.620 0.666 0.420
Li8 0.714 0.332 0.231
V1 0.939 0.000 0.055
V2 0.439 0.000 0.555
V3 0.314 0.500 0.180
V4 0.814 0.500 0.680

Output
Total magnetization = 0.00 μB/atom
V = 524.0 Å³ per cell
Relative energy among the computed polymorphs = 0.0331 eV/atom

***

Record 2
Below is an optimized crystal structure of BaMn8O16, with properties calculated at the PBE+U level.

a = 9.968 Å, b = 5.944 Å, c = 14.021 Å
α = 90.00°, β = 134.63°, γ = 90.00°
Sites, in units of the cell vectors:
Ba1 0.000 0.129 0.250
Ba2 0.000 0.871 0.750
Mn1 0.184 0.126 0.587
Mn2 0.184 0.374 0.084
Mn3 0.184 0.626 0.584
Mn4 0.184 0.874 0.087
Mn5 0.479 0.375 0.898
Mn6 0.479 0.625 0.398
Mn7 0.487 0.124 0.402
Mn8 0.487 0.876 0.902
Mn9 0.513 0.124 0.098
Mn10 0.513 0.876 0.598
Mn11 0.521 0.375 0.602
Mn12 0.521 0.625 0.102
Mn13 0.816 0.126 0.913
Mn14 0.816 0.374 0.416
Mn15 0.816 0.626 0.916
Mn16 0.816 0.874 0.413
O1 0.053 0.121 0.954
O2 0.053 0.879 0.454
O3 0.056 0.371 0.456
O4 0.056 0.629 0.956
O5 0.281 0.125 0.208
O6 0.281 0.875 0.708
O7 0.284 0.376 0.707
O8 0.284 0.624 0.207
O9 0.352 0.115 0.906
O10 0.352 0.885 0.406
O11 0.360 0.368 0.409
O12 0.360 0.632 0.909
O13 0.380 0.124 0.589
O14 0.380 0.876 0.089
O15 0.384 0.373 0.092
O16 0.384 0.627 0.592
O17 0.616 0.373 0.408
O18 0.616 0.627 0.908
O19 0.620 0.124 0.911
O20 0.620 0.876 0.411
O21 0.640 0.368 0.091
O22 0.640 0.632 0.591
O23 0.648 0.115 0.594
O24 0.648 0.885 0.094
O25 0.716 0.376 0.793
O26 0.716 0.624 0.293
O27 0.719 0.125 0.292
O28 0.719 0.875 0.792
O29 0.944 0.371 0.044
O30 0.944 0.629 0.544
O31 0.947 0.121 0.546
O32 0.947 0.879 0.046

Output
V = 591.2 Å³ per cell

***

Record 3
Below is an optimized crystal structure of NaFe4Mo5O20, with properties calculated at the PBE+U level.

a = 7.049 Å, b = 7.143 Å, c = 18.232 Å
α = 87.54°, β = 87.88°, γ = 79.42°
Sites, in units of the cell vectors:
Na1 0.119 0.333 0.302
Na2 0.881 0.667 0.698
Fe1 0.174 0.082 0.113
Fe2 0.185 0.827 0.493
Fe3 0.222 0.574 0.875
+++
Multiplication is often described as a sort of shorthand for repeated addition. For example,
Although multiplication isn’t as warm and fuzzy as addition, it’s a great timesaver. For example, suppose you coach a Little League baseball team, and you’ve just won a game against the toughest team in the league. As a reward, you promised to buy three hot dogs for each of the nine players on the team. To find out how many hot dogs you need, you